Find the line further below that holds "8.753,", then return that line and all lines after it there.
=====
{
  "formula": "C8H13N5O2",
  "method": "wB97M-V/def2-TZVPD",
  "symbols": ["C", "C", "C", "C", "C", "C", "C", "C", "N", "N", "N", "N", "N", "O", "O", "H", "H", "H", "H", "H", "H", "H", "H", "H", "H", "H", "H", "H"],
  "positions_angstrom": [[-0.570, 0.563, -0.880], [-1.126, 0.239, 1.565], [-1.691, -1.451, -0.084], [2.880, -0.943, 0.453], [1.721, -0.579, 1.079], [-1.706, 2.585, -0.446], [-0.296, 1.098, 0.546], [1.184, 0.882, 1.121], [-1.095, -0.762, -1.075], [-1.623, -0.986, 1.148], [-0.772, 2.520, 0.501], [0.458, 0.789, -1.764], [-2.435, -2.542, -0.304], [-1.523, 0.735, 2.612], [-1.819, 1.625, -1.278], [3.317, -1.956, 0.508], [3.487, -0.260, -0.169], [1.383, -1.249, 1.865], [-2.332, 3.516, -0.597], [1.201, 0.973, 2.252], [1.738, 1.485, 0.431], [-1.381, -1.038, -2.061], [-1.906, -1.417, 2.060], [-0.599, 3.207, 1.122], [0.985, 1.649, -1.833], [0.372, 0.241, -2.620], [-2.467, -3.020, -1.135], [-2.832, -3.011, 0.512]],
  "forces_ev_per_angstrom": [[1.8, 0.9, -1.0], [-1.7, 4.1, 0.4], [-1.2, -1.3, -0.7], [-1.0, 0.4, 0.1], [1.9, 0.1, -1.0], [-0.1, 1.8, -0.4], [0.1, -1.8, 2.1], [-0.7, -1.9, 0.0], [-0.8, 0.2, -1.0], [0.6, 0.0, 3.0], [-1.6, -5.1, -3.9], [-1.0, -1.1, -0.3], [0.9, 1.9, 2.9], [1.4, -1.6, -1.8], [0.2, -0.2, 1.4], [-0.5, 0.6, 0.4], [-0.7, -0.2, 0.3], [-0.5, -0.1, -0.2], [0.7, -1.1, 0.2], [-0.1, 1.5, -1.5], [1.1, 0.7, 0.6], [0.7, 0.6, 1.6], [-0.4, -0.6, -1.6], [0.7, 2.6, 2.8], [-0.3, 0.0, 0.2], [0.5, 0.5, 0.1], [0.0, -1.2, -2.4], [0.1, 0.1, -0.5]],
  "relative_energy_kj_mol": 0.0,
  "homo_energy_ev": -16.35,
  "homo_lumo_gap_ev": 8.753,
  "smiles": "C=CC[C@@]12[NH+]=CO[C@]1(N)NC(=[NH2+])NC2=O",
  "charge": 2
}

***

{
  "formula": "C27H37CdN4O5S2",
  "method": "wB97M-V/def2-TZVPD",
  "symbols": ["Cd", "C", "O", "C", "C", "O", "C", "C", "O", "C", "H", "H", "H", "H", "H", "H", "H", "H", "H", "H", "H", "H", "H", "H", "C", "C", "N", "N", "C", "O", "C", "C", "C", "C", "C", "C", "C", "C", "C", "C", "C", "N", "H", "H", "H", "H", "H", "H", "H", "H", "H", "H", "H", "H", "S", "C", "N", "C", "C", "C", "C", "H", "H", "H", "H", "H", "C", "S", "C", "O", "H", "H", "H", "H", "H", "H"],
  "positions_angstrom": [[0.411, 0.124, -0.069], [-1.787, -3.078, 1.326], [-1.967, -1.766, 0.824], [-2.732, -1.785, -0.362], [-2.825, -0.396, -0.949], [-1.596, 0.077, -1.497], [-1.293, -0.511, -2.762], [-0.092, 0.194, -3.336], [1.079, -0.030, -2.559], [1.899, -1.075, -3.080], [-2.744, -3.511, 1.640], [-1.338, -3.731, 0.572], [-1.119, -3.017, 2.183], [-2.287, -2.489, -1.077], [-3.754, -2.128, -0.147], [-3.585, -0.394, -1.738], [-3.111, 0.319, -0.180], [-1.095, -1.578, -2.651], [-2.149, -0.365, -3.433], [0.067, -0.143, -4.365], [-0.282, 1.268, -3.346], [2.321, -0.772, -4.042], [2.704, -1.241, -2.367], [1.336, -2.003, -3.196], [3.995, -1.619, 2.329], [2.952, -0.756, 1.690], [2.033, -1.201, 0.914], [2.007, -2.535, 0.656], [1.077, -2.842, -0.242], [0.304, -2.037, -0.836], [0.970, -4.293, -0.585], [0.173, -4.675, -1.660], [0.037, -6.014, -1.991], [0.693, -6.982, -1.243], [1.487, -6.606, -0.167], [1.629, -5.267, 0.160], [2.963, 0.706, 1.944], [3.877, 1.268, 2.835], [3.851, 2.634, 3.057], [2.914, 3.407, 2.387], [2.043, 2.768, 1.518], [2.063, 1.457, 1.300], [3.848, -2.650, 2.027], [3.939, -1.554, 3.418], [4.996, -1.299, 2.032], [-0.342, -3.912, -2.229], [-0.580, -6.304, -2.832], [0.587, -8.028, -1.499], [1.996, -7.360, 0.418], [2.248, -4.962, 0.991], [4.597, 0.644, 3.343], [4.555, 3.090, 3.741], [2.857, 4.477, 2.525], [1.275, 3.319, 0.995], [-1.242, 1.547, 1.662], [-0.972, 0.711, 3.120], [0.074, 1.069, 3.909], [0.386, 0.499, 5.098], [-0.381, -0.510, 5.588], [-1.494, -0.918, 4.828], [-1.786, -0.324, 3.631], [0.649, 1.824, 3.556], [1.254, 0.899, 5.601], [-0.140, -0.966, 6.535], [-2.128, -1.713, 5.200], [-2.629, -0.628, 3.031], [-1.379, 4.228, -1.785], [0.303, 3.803, -1.362], [1.034, 3.976, -2.986], [0.277, 2.338, -1.053], [-1.405, 5.244, -2.178], [-1.967, 4.164, -0.872], [-1.742, 3.509, -2.520], [1.172, 5.037, -3.189], [0.403, 3.518, -3.746], [2.000, 3.478, -2.942]],
=====
  "homo_lumo_gap_ev": 8.753,
  "smiles": "C=CC[C@@]12[NH+]=CO[C@]1(N)NC(=[NH2+])NC2=O",
  "charge": 2
}

***

{
  "formula": "C27H37CdN4O5S2",
  "method": "wB97M-V/def2-TZVPD",
  "symbols": ["Cd", "C", "O", "C", "C", "O", "C", "C", "O", "C", "H", "H", "H", "H", "H", "H", "H", "H", "H", "H", "H", "H", "H", "H", "C", "C", "N", "N", "C", "O", "C", "C", "C", "C", "C", "C", "C", "C", "C", "C", "C", "N", "H", "H", "H", "H", "H", "H", "H", "H", "H", "H", "H", "H", "S", "C", "N", "C", "C", "C", "C", "H", "H", "H", "H", "H", "C", "S", "C", "O", "H", "H", "H", "H", "H", "H"],
  "positions_angstrom": [[0.411, 0.124, -0.069], [-1.787, -3.078, 1.326], [-1.967, -1.766, 0.824], [-2.732, -1.785, -0.362], [-2.825, -0.396, -0.949], [-1.596, 0.077, -1.497], [-1.293, -0.511, -2.762], [-0.092, 0.194, -3.336], [1.079, -0.030, -2.559], [1.899, -1.075, -3.080], [-2.744, -3.511, 1.640], [-1.338, -3.731, 0.572], [-1.119, -3.017, 2.183], [-2.287, -2.489, -1.077], [-3.754, -2.128, -0.147], [-3.585, -0.394, -1.738], [-3.111, 0.319, -0.180], [-1.095, -1.578, -2.651], [-2.149, -0.365, -3.433], [0.067, -0.143, -4.365], [-0.282, 1.268, -3.346], [2.321, -0.772, -4.042], [2.704, -1.241, -2.367], [1.336, -2.003, -3.196], [3.995, -1.619, 2.329], [2.952, -0.756, 1.690], [2.033, -1.201, 0.914], [2.007, -2.535, 0.656], [1.077, -2.842, -0.242], [0.304, -2.037, -0.836], [0.970, -4.293, -0.585], [0.173, -4.675, -1.660], [0.037, -6.014, -1.991], [0.693, -6.982, -1.243], [1.487, -6.606, -0.167], [1.629, -5.267, 0.160], [2.963, 0.706, 1.944], [3.877, 1.268, 2.835], [3.851, 2.634, 3.057], [2.914, 3.407, 2.387], [2.043, 2.768, 1.518], [2.063, 1.457, 1.300], [3.848, -2.650, 2.027], [3.939, -1.554, 3.418], [4.996, -1.299, 2.032], [-0.342, -3.912, -2.229], [-0.580, -6.304, -2.832], [0.587, -8.028, -1.499], [1.996, -7.360, 0.418], [2.248, -4.962, 0.991], [4.597, 0.644, 3.343], [4.555, 3.090, 3.741], [2.857, 4.477, 2.525], [1.275, 3.319, 0.995], [-1.242, 1.547, 1.662], [-0.972, 0.711, 3.120], [0.074, 1.069, 3.909], [0.386, 0.499, 5.098], [-0.381, -0.510, 5.588], [-1.494, -0.918, 4.828], [-1.786, -0.324, 3.631], [0.649, 1.824, 3.556], [1.254, 0.899, 5.601], [-0.140, -0.966, 6.535], [-2.128, -1.713, 5.200], [-2.629, -0.628, 3.031], [-1.379, 4.228, -1.785], [0.303, 3.803, -1.362], [1.034, 3.976, -2.986], [0.277, 2.338, -1.053], [-1.405, 5.244, -2.178], [-1.967, 4.164, -0.872], [-1.742, 3.509, -2.520], [1.172, 5.037, -3.189], [0.403, 3.518, -3.746], [2.000, 3.478, -2.942]],